Microbiota and pregnancy: Short-chain fatty acid fermentation linked to reduced risk of complications - Australian study
Researchers from the University of Sydney’s Charles Perkins Centre, the Barwon Infant Study from Deakin University, Monash University, James Cook University and the Australian National University collaborated to investigate the role of these metabolic products of gut bacteria during pregnancy in both mice and humans.
Senior author of the study Professor Ralph Nanan said increasing intake of foods and nutrients that boost acetate production, such as those high in fibre, could be an effective primary prevention strategy.
“The mother’s gut bacteria and diet appear to be crucial to promoting a healthy pregnancy,” Professor Nanan, from the University of Sydney School of Medicine and Charles Perkins Centre, said.
Published in Nature Communications, the study found that in humans, reduced levels of acetate, which is mainly produced by fibre fermentation in the gut, is associated with the common and serious pregnancy-related condition preeclampsia.
Moreover, maternal acetate supplementation had a significant impact on the foetal immune system in a germ-free mouse model.
The academics wrote: “In this study, we present evidence of an association between maternal gut microbial metabolites and foetal immune development in preeclampsia. Specifically, we demonstrate in mice a link between acetate and foetal thymic development and output [in mice], with concordant associations in human cohorts between decreased serum acetate and subsequent preeclampsia, and between preeclampsia and decreased thymic size and output in the offspring.”
• The text is interrupted by calculated crystals:
~~~
Entry 1:
VASP calculation (PBE) on NaDyIrO4 after structural relaxation.

## Properties
spin magnetization: 0.122 μB/atom

Cell: 3.2516 16.1042 9.6308 Å, 90.00 90.00 90.00°
Space group Amm2 (No. 38)
Asymmetric unit:
Na 0.0000 0.0000 0.0000 x2
Na 0.5000 0.1506 0.8703 x4
Dy 0.5000 0.0000 0.3184 x2
Dy 0.5000 0.1714 0.5346 x4
Ir 0.0000 0.0000 0.6880 x2
Ir 0.0000 0.1618 0.1855 x4
O 0.0000 0.0970 0.3742 x4
O 0.0000 0.1252 0.6809 x4
O 0.0000 0.2287 0.0083 x4
O 0.5000 0.0000 0.5581 x2
O 0.5000 0.0000 0.8182 x2
O 0.5000 0.0897 0.1242 x4
O 0.5000 0.2271 0.2473 x4


Entry 2:
VASP calculation (PBE) on Dy2NiIr after structural relaxation.

## Properties
spin magnetization: 0.003 μB/atom

Cell: 6.8237 6.8237 6.8237 Å, 90.00 90.00 90.00°
Space group Fm-3m (No. 225)
Asymmetric unit:
Dy 0.2500 0.2500 0.2500 x8
Ni 0.0000 0.0000 0.0000 x4
Ir 0.0000 0.0000 0.5000 x4


Entry 3:
VASP calculation (PBE) on Dy5P12Ir19 after structural relaxation.

Cell: 12.7229 12.7229 3.9792 Å, 90.00 90.00 120.00°
Space group P-62m (No. 189)
Asymmetric unit:
Dy 0.0000 0.8148 0.0000 x3
Dy 0.3333 0.6667 0.5000 x2
P 0.0000 0.1780 0.5000 x3
P 0.0000 0.6422 0.5000 x3
P 0.1712 0.4827 0.0000 x6
Ir 0.0000 0.0000 0.5000 x1
Ir 0.0000 0.2844 0.0000 x3
Ir 0.0000 0.4627 0.5000 x3
Ir 0.1328 0.6389 0.0000 x6
Ir 0.1810 0.3754 0.5000 x6


ΔH_f (0 K) in eV/atom, matching the order above: -2.332 -0.656 -0.807

~~~~~

Record 1
Li2SnP6O18, optimized geometry, DFT PBE-GGA; ΔE_f = -2487 meV/atom
1.0
-4.069 -6.348 0.874
6.988 -0.197 3.118
-4.102 4.995 4.163
O P Li Sn
18 6 2 1
Direct
0.934 0.846 0.738
0.668 0.801 0.432
0.640 0.122 0.252
0.002 0.202 0.532
0.349 0.229 0.650
0.705 0.487 0.439
0.334 0.876 0.761
0.010 0.800 0.444
0.882 0.438 0.199
0.104 0.274 0.892
0.742 0.207 0.697
0.080 0.545 0.777
0.472 0.711 0.961
0.227 0.751 0.249
0.204 0.194 0.301
0.492 0.300 0.075
0.319 0.535 0.591
0.867 0.719 0.087
0.007 0.688 0.224
0.815 0.741 0.515
0.965 0.296 0.732
0.226 0.281 0.505
0.317 0.680 0.790
0.670 0.318 0.232
0.516 0.963 0.423
0.721 0.867 0.165
0.242 0.095 0.831

Record 2
LiSn2P5O16, optimized geometry, DFT PBE-GGA; ΔE_f = -2446 meV/atom; polymorph energy (0 for the lowest one) = 0.000 eV per atom
1.0
7.190 0.000 0.000
0.000 5.201 0.000
0.000 0.819 19.027
Sn O P Li
4 32 10 2
Direct
0.841 0.256 0.909
0.161 0.744 0.089
0.159 0.256 0.409
0.839 0.744 0.589
0.419 0.439 0.376
0.608 0.210 0.709
0.431 0.046 0.084
0.692 0.274 0.149
0.581 0.439 0.876
0.014 0.600 0.377
0.870 0.982 0.071
0.130 0.982 0.571
0.096 0.031 0.922
0.308 0.274 0.649
0.026 0.383 0.120
0.776 0.434 0.024
0.224 0.434 0.524
0.986 0.600 0.877
0.684 0.747 0.361
0.846 0.840 0.702
0.794 0.607 0.483
0.143 0.152 0.301
0.412 0.831 0.292
0.392 0.210 0.209
0.421 0.534 0.108
0.615 0.888 0.926
0.385 0.888 0.426
0.588 0.831 0.792
0.316 0.747 0.861
0.569 0.046 0.584
0.579 0.534 0.608
0.974 0.383 0.620
0.904 0.031 0.422
0.206 0.607 0.983
0.154 0.840 0.202
0.857 0.152 0.801
0.526 0.262 0.632
0.140 0.746 0.914
0.851 0.268 0.087
0.149 0.268 0.587
0.260 0.005 0.251
~~~
They added: “Acetate levels fluctuate depending on recent dietary intake and microbial composition. Therefore, a single measurement of serum acetate levels can only provide a snapshot and not the cumulative exposure to acetate over the duration of pregnancy. Further longitudinal studies, with larger numbers of women with preeclampsia, are required to assess acetate production in the context of microbiota composition and diet throughout preeclampsia and healthy pregnancy.”
Autoimmune risk
Preeclampsia occurs in up to 10 percent of pregnancies and is characterised by high blood pressure, protein in the urine and severe swelling in the mother. It also interferes with the child’s immune development whilst in the womb, with some evidence suggesting a link to higher rates of allergies and autoimmune disease later in life.
The current study found that preeclampsia affected the development of an important foetal immune organ, the thymus, which sits just behind the breastbone.
Foetuses in preeclamptic pregnancies were found to have a much smaller thymus than children from healthy pregnancies.
The cells the thymus normally generates, called T cells (thymus-derived cells) – specifically those associated with the prevention of allergies and autoimmune conditions such as diabetes – also remained lower in infants after preeclampsia, even four years after delivery.
The mechanisms of acetate on the developing fetal immune system were further examined in separate experiments involving mice that showed acetate was central in driving fetal thymus and T cell development.
Together, these results showed that promoting specific metabolic products of gut bacteria during pregnancy might be an effective way to maintain a healthy pregnancy and to prevent allergies and autoimmune conditions later in life.
They may also, in part, explain the rapid increase of allergies and autoimmune conditions as Western diets are increasingly dominated by highly processed foods, which are very low in fibre.
“More studies are urgently needed to understand how we can best target this system to reduce the growing burden of immune related diseases in the modern world,” said co-author Peter Vuillermin, co-lead of the Barwon Infant Study, a major birth cohort study being conducted by the Child Health Research Unit at Barwon Health in collaboration with the Murdoch Children’s Research Institute (MCRI) and Deakin University.
Source: Nature Communications
“Decreased maternal serum acetate and impaired fetal thymic and regulatory T cell development in preeclampsia”
Nature Communications, volume 10, Article number: 3031 (2019)
Authors: Ralph Nanan, et al.